It had been called The Orange Grove; my mother had joked to Mr. McSwiney about the decor, which she said was dotted everywhere with potted orange trees and tanks full of tropical fish—and husbands and wives celebrating their anniversaries. Yet she had imagined she might be “discovered” there!

“DID SHE HAVE A BOYFRIEND?” Owen asked Mr. McSwiney, who shrugged.

“She wasn’t interested in me—that’s all I know!” he said. He smiled at me fondly. “I know, because I made a pass at her,” he explained. “She handled it very nicely and I never tried it again,” he said.

“There was a pianist, a black pianist—at The Orange Grove,” I said.

“You bet there was, but he was all over—he played all over town, for years, before he ended up there. And after he left there, he played all over town again,” Mr. McSwiney said. “Big Black Buster Freebody!” he said, and laughed.

“Freebody,” I said.

“It was as made-up a name as ‘The Lady in Red,’” said Mr. McSwiney. “And he wouldn’t have been your mother’s boyfriend, either—Buster was as queer as a cat fart.”

Graham McSwiney also told us that Meyerson had gone back to Miami; but Mr. McSwiney added that Meyerson was old—even in the forties and fifties, he’d been old; he was so old that he’d have to be dead now, “or at least lying down on a shuffleboard court.” As for Buster Freebody, Mr. McSwiney couldn’t remember where the big black man had played after The Orange Grove had seen its days. “I used to run into him in so many places,” Mr. McSwiney said. “I was as used to seeing Buster as a light fixture.” Buster Freebody had played what Mr. McSwiney called a “real soft” piano; singers liked him because they could be heard over him.

“She had some trouble—your mother,” Mr. McSwiney remembered. “She went away—for a while—and then she came back again. And then she went away for good.”

“HE WAS THE TROUBLE,” said Owen Meany, pointing to me.

“Are you looking for your father?” the singing teacher asked me. “Is that it?”

“Yes,” I said.

“Don’t bother, kid,” said Mr. McSwiney. “If he was looking for you, he would have found you.”

“GOD WILL TELL HIM WHO HIS FATHER IS,” Owen said; Graham McSwiney shrugged.

“I’m not God,” Mr. McSwiney said. “This God you know,” he told Owen—“this God must be pretty busy.”

**Unrelated to this page: data records**
........
# 1
C44H86ClF3N3O13 | ωB97M-V/def2-TZVPD

Properties
- Kohn-Sham gap (Eh) = 0.2144
- electronic energy (eV) = -98766.90813
- charge = +1
- LUMO energy (eV) = -4.50

Last column: Löwdin charge in e.
Positions of all 150 atoms, in Å:
C1 6.45 2.06 -1.39  -0.091
C2 5.49 1.98 -0.03  -0.213
O1 4.06 1.94 -0.36  -0.187
C3 3.37 0.79 0.26  -0.189
N1 1.88 1.05 0.53  -0.374
Cl1 1.42 1.26 2.21  0.773
C4 0.92 1.12 -0.49  -0.179
N2 1.40 0.97 -1.91  0.130
N3 -0.50 1.38 -0.04  -0.003
C5 -1.52 1.08 -1.10  -0.200
C6 -2.13 -0.47 -1.03  -0.079
C7 -3.80 -0.35 -1.00  -0.076
F1 -4.50 0.27 -2.18  -0.057
C8 -4.62 -0.79 0.18  0.008
F2 -4.81 0.14 1.34  -0.018
F3 -5.23 -2.14 0.25  0.000
H1 6.12 1.26 -2.19  0.070
H2 6.39 3.13 -1.90  0.066
H3 7.58 1.87 -1.16  0.097
H4 5.65 2.97 0.61  0.138
H5 5.87 1.08 0.61  0.125
H6 3.43 -0.20 -0.36  0.143
H7 3.87 0.60 1.32  0.145
H8 1.91 0.07 -2.07  0.100
H9 2.10 1.73 -2.08  0.115
H10 -0.62 2.39 0.22  0.144
H11 -2.46 1.78 -0.87  0.147
H12 -1.20 1.34 -2.20  0.129
H13 -1.91 -1.09 -2.03  0.143
H14 -1.74 -1.07 -0.10  0.127
C9 4.60 6.48 -2.12  -0.020
C10 5.78 6.21 -1.21  -0.497
O2 6.59 5.32 -1.47  0.019
C11 5.92 7.07 0.01  -0.018
H15 4.63 5.79 -2.96  0.086
H16 3.67 6.33 -1.57  0.084
H17 4.66 7.50 -2.50  0.090
H18 5.05 6.94 0.66  0.086
H19 6.04 8.11 -0.28  0.091
H20 6.81 6.75 0.57  0.088
C12 7.83 6.95 -3.99  -0.018
C13 7.28 7.38 -5.32  -0.486
O3 6.28 8.10 -5.40  0.048
C14 7.99 6.90 -6.56  -0.021
H21 7.22 7.38 -3.19  0.067
H22 7.81 5.86 -3.91  0.082
H23 8.86 7.32 -3.88  0.094
H24 7.97 5.81 -6.59  0.066
H25 9.02 7.26 -6.56  0.090
H26 7.48 7.29 -7.45  0.088
C15 -8.76 2.39 3.89  -0.026
C16 -7.27 2.63 3.95  -0.484
O4 -6.76 3.20 4.91  0.050
C17 -6.44 2.15 2.79  -0.037
H27 -9.23 2.79 4.79  0.089
H28 -9.18 2.89 3.01  0.090
H29 -8.95 1.31 3.84  0.061
H30 -6.76 2.64 1.87  0.091
H31 -6.53 1.06 2.70  0.061
H32 -5.39 2.39 2.98  0.080
C18 1.35 2.34 7.43  -0.021
C19 1.26 2.63 5.96  -0.495
O5 2.24 2.52 5.22  0.017
C20 -0.07 3.08 5.41  -0.029
H33 2.37 2.03 7.68  0.088
H34 1.10 3.24 8.00  0.092
H35 0.66 1.53 7.69  0.089
H36 -0.38 4.01 5.90  0.093
H37 -0.82 2.30 5.58  0.090
H38 0.01 3.25 4.34  0.063
C21 5.88 2.74 -6.18  -0.003
C22 6.91 2.23 -5.21  -0.493
O6 6.59 1.83 -4.09  -0.007
C23 8.35 2.24 -5.65  -0.011
H39 4.89 2.67 -5.73  0.086
H40 6.08 3.79 -6.43  0.079
H41 5.89 2.13 -7.09  0.091
H42 8.66 3.27 -5.88  0.079
H43 8.47 1.61 -6.53  0.081
H44 8.98 1.85 -4.85  0.095
C24 5.05 -3.47 -0.76  -0.013
C25 4.17 -3.19 -1.95  -0.478
O7 3.77 -2.05 -2.18  0.010
C26 3.80 -4.35 -2.83  -0.020
H45 5.24 -2.54 -0.21  0.080
H46 4.56 -4.18 -0.09  0.074
H47 6.01 -3.88 -1.10  0.097
H48 3.25 -5.09 -2.25  0.056
H49 4.70 -4.79 -3.26  0.098
H50 3.16 -3.99 -3.64  0.087
C27 -8.17 -2.12 5.37  -0.010
C28 -8.72 -1.69 4.03  -0.477
O8 -9.72 -0.98 3.96  0.035
C29 -8.01 -2.18 2.80  -0.017
H51 -8.78 -1.70 6.17  0.092
H52 -8.19 -3.21 5.45  0.061
H53 -7.15 -1.76 5.48  0.087
H54 -8.03 -3.27 2.76  0.076
H55 -6.98 -1.81 2.80  0.072
H56 -8.52 -1.79 1.91  0.089
C30 0.41 -6.45 -2.42  -0.022
........

I gave him my phone number in Gravesend—in case he ever remembered the last place he’d heard Buster Freebody play the piano. Buster Freebody, Mr. McSwiney warned me, was old enough to be “lying down on a shuffleboard court,” too. Mr. McSwiney as

ked Owen Meany for his phone number—in case he ever heard a theory regarding why Owen’s voice hadn’t already changed.

“IT DOESN’T MATTER,” Owen said, but he gave Mr. McSwiney his number.

“Your mother was a nice woman, a good person—a respectable woman,” Mr. McSwiney told me.

“Thank you,” I said.

“The Orange Grove was a stupid place,” he told me, “but it wasn’t a dive—nothing cheap would have happened to her there,” he said.

“Thank you,” I said again.

“All she ever sang was Sinatra stuff—it used to bore me to tears,” Mr. McSwiney admitted.


Toronto: May 30, 1987—I should know better than to read even as much as a headline in The New York Times; although, as I’ve often pointed out to my students at Bishop Strachan, this newspaper’s use of the semicolon is exemplary.

Reagan Declares

Firmness on Gulf;

Plans Are Unclear

Isn’t that a classic? I don’t mean the semicolon; I mean, isn’t that just what the world needs? Unclear firmness! That is typical American policy: don’t be clear, but be firm!

In November 1961—after Owen Meany and I learned that his voice box was never in repose, and that my mother had enjoyed (or suffered) a more secret life than we knew—Gen. Maxwell Taylor reported to President Kennedy that U.S. military, economic, and political support could secure a victory for the South Vietnamese without the United States taking over the war. (Privately, the general recommended sending eight thousand U.S. combat troops to Vietnam.)